Passive Income
Passive income is a profit from a business that doesn’t require a person’s active involvement. Examples of passive income activities are property rental, equipment leasing, and sometimes self-charged interest. However, there are some exceptions that you must consider.
Clarification of the term
Passive income is commonly described as easy money that a businessman gets effortlessly. This profit is usually associated with a relaxed and flexible schedule. And technically, it’s generated from an enterprise which doesn’t require a person’s significant involvement in business processes. In fact, if the person gets engaged in the activity, his income won’t be passive anymore.
One of the main differences of passive income is an absence of material participation in a business. The Internal Revenue Service (IRS) outlines standards that define the participation:
- a businessman shouldn’t spend more than 500 hours per year to the activity that profits him;
- a businessman shouldn’t spend more time on the activity than other people involved;
- a businessman’s participation shouldn’t be regular and permanent.
So, if a person invests some amount of money in a company and gets a percentage from its earnings, this income will be passive until he doesn’t get involved in any significant business processes. For example, if the person starts to promote his business ideas, hire employees, make other important changes, and spend more time on the activity, this income will count as active.
Types of Passive Income
A businessman can profit from different types of passive income activities. It’s important to define either of them in particular.
Property rental can be a passive income activity. But there are a few exceptions. Above all, if working with a property is your specialization then this income will count as active.
If you rent out your own property to an enterprise in which you’re actively involved, your income won’t be passive. However, this restriction doesn’t spread out on rent contracts signed before 1988. Likewise, if you rent out land, your income will count as active.
Self-charged interest. There are a few exceptions for counting self-charged interest as passive. For instance, if you loan money to a limited partnership or S corporation and you are a part of that partnership or company, then your interest from the loan won’t be considered as passive.
Portfolio income. Some specialists consider portfolio income as passive, because mainly that type of activity doesn’t require a person to be fully involved in it. Having said that, the IRS doesn’t always define the profit from interest, dividends, or capital gains as passive. Therefore, it’s better to advise on that matter with a specialist.
Important remarks
In addition, it is important to mention some special considerations on passive activity loss and managing your passive activities. It’s possible to allocate tax deductions on passive activity for the next tax year if you record a loss on your passive activity.
Grouping your activities. It can be reasonable to group some of your passive activities into a larger one using some of their common features. It’s easier for a person to manage one business instead of spending time on several enterprises.
[Inserted here: records of molecules]
/*
(1)
{"formula": "C26H43NO18", "method": "ωB97M-V/def2-TZVPD", "species": ["C", "C", "C", "O", "C", "O", "O", "H", "H", "H", "H", "H", "H", "C", "C", "C", "O", "C", "O", "O", "H", "H", "H", "H", "H", "H", "C", "C", "C", "O", "C", "O", "O", "H", "H", "H", "H", "H", "H", "C", "C", "C", "O", "C", "O", "O", "H", "H", "H", "H", "H", "H", "C", "O", "C", "O", "O", "C", "H", "H", "H", "H", "H", "H", "C", "O", "C", "O", "O", "C", "H", "H", "H", "H", "H", "H", "C", "C", "C", "C", "N", "H", "H", "H", "H", "H", "H", "H"], "xyz": [[4.983, 1.220, 1.711], [3.881, 2.244, 1.379], [3.223, 2.750, 2.639], [3.432, 4.125, 2.595], [4.156, 4.473, 1.562], [4.544, 5.615, 1.372], [4.334, 3.443, 0.795], [5.650, 1.058, 0.834], [4.515, 0.301, 1.997], [5.607, 1.526, 2.575], [3.132, 1.832, 0.765], [3.557, 2.312, 3.578], [2.225, 2.419, 2.554], [-2.266, 0.405, -1.200], [-3.469, 1.213, -0.593], [-3.618, 1.104, 0.932], [-4.085, 2.388, 1.301], [-3.720, 3.237, 0.375], [-3.741, 4.469, 0.487], [-3.349, 2.583, -0.742], [-2.535, -0.650, -1.316], [-1.410, 0.462, -0.472], [-1.988, 0.786, -2.143], [-4.421, 0.858, -1.033], [-2.660, 1.039, 1.428], [-4.332, 0.302, 1.202], [0.503, -1.933, 0.467], [0.736, -0.651, 1.228], [-0.203, -0.511, 2.415], [0.679, -0.198, 3.496], [1.880, -0.310, 3.119], [2.780, -0.139, 3.945], [1.987, -0.680, 1.837], [0.932, -2.808, 0.962], [1.116, -1.768, -0.441], [-0.469, -2.089, 0.123], [0.652, 0.207, 0.468], [-0.694, -1.437, 2.740], [-0.985, 0.230, 2.323], [-0.568, -3.202, -5.808], [-0.186, -2.862, -4.365], [-1.323, -2.125, -3.601], [-1.283, -2.781, -2.366], [-0.495, -3.886, -2.394], [-0.282, -4.668, -1.410], [-0.037, -4.049, -3.566], [0.156, -3.833, -6.269], [-0.626, -2.338, -6.479], [-1.461, -3.762, -5.854], [0.717, -2.229, -4.340], [-2.269, -2.442, -4.000], [-1.287, -1.052, -3.437], [-1.537, 3.127, 3.617], [-0.582, 2.572, 2.722], [-0.356, 3.317, 1.574], [-0.753, 4.647, 1.520], [0.297, 2.730, 0.542], [0.525, 3.375, -0.698], [-2.395, 3.496, 3.064], [-1.146, 3.918, 4.214], [-1.922, 2.334, 4.211], [-0.141, 4.251, -0.777], [0.157, 2.739, -1.465], [1.533, 3.591, -0.902], [-3.618, -1.644, 3.805], [-4.231, -2.484, 2.881], [-3.780, -2.510, 1.569], [-2.685, -1.721, 1.124], [-4.465, -3.290, 0.697], [-3.873, -3.292, -0.594], [-3.639, -0.641, 3.420], [-2.571, -2.017, 3.968], [-4.210, -1.538, 4.638], [-3.967, -2.355, -1.163], [-4.358, -4.155, -1.032], [-2.798, -3.529, -0.499], [3.247, -2.318, -2.471], [3.950, -0.968, -2.646], [3.348, 0.199, -1.818], [1.968, 0.377, -2.298], [0.819, 0.373, -2.613], [3.733, -3.082, -3.012], [2.257, -2.332, -2.816], [3.234, -2.585, -1.404], [4.061, -0.621, -3.668], [4.962, -1.162, -2.359], [3.890, 1.140, -1.887], [3.431, -0.144, -0.817]], "homo_lumo_gap_ev": 10.5273, "homo_energy_ev": -10.3, "e_above_lowest_ev": 0.265, "smiles": "C[C@H]1COC(=O)O1.C[C@H]1COC(=O)O1.C[C@H]1COC(=O)O1.C[C@H]1COC(=O)O1.COC(=O)OC.COC(=O)OC.CCCC#N"}



(2)
*/
Activities can be organized by a simple attribute like geographical location, types of businesses, or the same primary audience, etc.
For instance, if you own a thrift store and a music store both in Chicago and in San Francisco you can group these businesses by the following features:
- types of business (music stores and thrift stores);
- location (two stores in Chicago and two stores in San Francisco);
- etc.
Also, you can group all of your stores into one business or leave them all separately.
Tax obligation. Just like any other earnings passive income is liable to tax. Usually, passive income is taxed similarly to a regular job wage. However, there are some possibilities for a businessman to use tax deductions. Better to consult on this matter with a tax professional.
Key points
- A person shouldn’t be significantly involved in a business in order for it to be considered as passive.
- The Internal Revenue Service (IRS) sets out a number of rules for material participation in a business.
- There are different types of passive income: rental properties, equipment leasing, etc.
- Passive income is liable to tax. But there are different rules for its tax obligation.
- Some passive enterprises can be united into a larger business for saving time and effort.
- Investment income is a questionable topic towards its passiveness.